**Job:**
Your job: write out everything further down verbatim.
**Source:**
~~~
Entry 1:
## Nb2Si3Ge2S3O24 (GGA-PBE)

Data for a relaxed structure of Nb2Si3Ge2S3O24.

Values from the calculation:
- Symmetry: No. 1
- Total energy after the MP2020 corrections: -0.559 Ry per atom

a = 8.6779 Å, b = 8.6897 Å, c = 22.3926 Å
α = 89.07°, β = 89.21°, γ = 60.38°
With the nearest neighbours (Å) after each atom.
Sites, in units of the cell vectors:
1 Nb 0.0000 0.0000 0.0000  5 O 1.89-2.11
2 Nb 0.0011 0.9793 0.5026  3 O 1.84-1.96
3 Nb 0.3298 0.3288 0.3340  6 O 1.90-2.07
4 Nb 0.3436 0.3098 0.8308  5 O 1.86-2.06
5 Nb 0.6780 0.6611 0.6672  4 O 1.89-1.96
6 Nb 0.6830 0.6430 0.1648  5 O 1.86-2.07
7 Si 0.0282 0.2505 0.1119  4 O 1.60-1.67
8 Si 0.0306 0.6876 0.6126  4 O 1.60-1.68
9 Si 0.2713 0.9895 0.6150  4 O 1.60-1.67
10 Si 0.2788 0.6994 0.1106  4 O 1.61-1.66
11 Si 0.5965 0.0470 0.4489  4 O 1.62-1.66
12 Si 0.5977 0.3478 0.9453  4 O 1.63-1.66
13 Si 0.6907 0.9146 0.7799  4 O 1.59-1.67
14 Si 0.9358 0.6867 0.2783  4 O 1.63-1.66
15 Si 0.9447 0.3498 0.7770  4 O 1.59-1.67
16 Ge 0.0079 0.9735 0.7194  5 O 1.80-1.98
17 Ge 0.0155 0.9672 0.2099  3 O 1.75-1.80
18 Ge 0.3195 0.3490 0.0512  3 O 1.76-1.81
19 Ge 0.3428 0.2955 0.5629  4 O 1.72-1.85
20 Ge 0.6661 0.6885 0.3863  4 O 1.77-1.92
21 Ge 0.6865 0.6228 0.8773  3 O 1.75-1.80
22 S 0.0268 0.3443 0.4430  4 O 1.45-1.51
23 S 0.0355 0.6037 0.9451  4 O 1.46-1.51
24 S 0.3482 0.0318 0.9443  4 O 1.44-1.54
25 S 0.3513 0.6082 0.4400  4 O 1.43-1.51
26 S 0.3736 0.9356 0.2790  4 O 1.46-1.52
27 S 0.3767 0.6667 0.7787  4 O 1.45-1.51
28 S 0.6790 0.3713 0.2795  4 O 1.44-1.53
29 S 0.7065 0.0050 0.1105  4 O 1.45-1.51
30 S 0.7103 0.2679 0.6109  4 O 1.45-1.50
31 O 0.0135 0.1818 0.4469  1 S 1.47
32 O 0.0160 0.7829 0.9534  1 S 1.49
33 O 0.0450 0.1355 0.1724  1 Si 1.64, 1 Ge 1.80
34 O 0.0553 0.7788 0.6703  1 Si 1.60
35 O 0.0993 0.3790 0.4956  1 S 1.45
36 O 0.1086 0.4960 0.0015  1 S 1.51
37 O 0.1338 0.5111 0.2899  1 Si 1.66
38 O 0.1356 0.3458 0.7898  1 Si 1.67
39 O 0.1381 0.3222 0.3880  1 S 1.51
40 O 0.1421 0.0275 0.6710  1 Si 1.60
41 O 0.1490 0.5256 0.8932  1 S 1.46
42 O 0.1582 0.7752 0.1709  1 Si 1.63, 1 Ge 1.75
43 O 0.1781 0.9779 0.5519  1 Si 1.67
44 O 0.1787 0.0178 0.9487  1 S 1.54
45 O 0.1858 0.8244 0.0523  1 Si 1.63
46 O 0.1935 0.7906 0.4441  1 S 1.50
47 O 0.1960 0.9564 0.2734  1 S 1.47
48 O 0.1992 0.2682 0.0960  1 Si 1.60
49 O 0.2023 0.5055 0.5922  1 Si 1.61, 1 Ge 1.75
50 O 0.2017 0.8251 0.7751  1 S 1.46
51 O 0.2950 0.1638 0.6089  1 Si 1.63, 1 Ge 1.72
52 O 0.2999 0.5061 0.1040  1 Si 1.61, 1 Ge 1.76
53 O 0.3084 0.1461 0.8903  1 S 1.48
54 O 0.3126 0.5312 0.3864  1 S 1.51
55 O 0.3484 0.5098 0.7860  1 S 1.51
56 O 0.3526 0.1185 0.2870  1 S 1.52
57 O 0.3659 0.1163 0.9977  1 S 1.46
58 O 0.3813 0.5039 0.4934  1 S 1.43
59 O 0.4503 0.8281 0.3346  1 S 1.49
60 O 0.4580 0.6905 0.8329  1 S 1.48
61 O 0.4634 0.8101 0.6209  1 Si 1.63
62 O 0.4682 0.1499 0.5048  1 Si 1.62, 1 Ge 1.77
63 O 0.4734 0.6850 0.1238  1 Si 1.66
64 O 0.4766 0.3673 0.0042  1 Si 1.63, 1 Ge 1.78
65 O 0.4841 0.6305 0.7249  1 S 1.45
66 O 0.4865 0.8605 0.2267  1 S 1.46
67 O 0.4985 0.8575 0.9368  1 S 1.44
68 O 0.5034 0.1649 0.3877  1 Si 1.66
69 O 0.5081 0.3137 0.8872  1 Si 1.63
70 O 0.5105 0.3564 0.2858  1 S 1.53
71 O 0.5143 0.1148 0.7896  1 Si 1.67, 1 Nb 1.86
72 O 0.5143 0.6197 0.4276  1 S 1.49
73 O 0.5303 0.2904 0.6030  1 S 1.49
74 O 0.5309 0.1559 0.1028  1 S 1.45
75 O 0.6129 0.8535 0.4405  1 Si 1.63, 1 Ge 1.77
76 O 0.6161 0.5243 0.9352  1 Si 1.63, 1 Ge 1.80
77 O 0.6381 0.4854 0.2250  1 S 1.49
78 O 0.6399 0.8447 0.7196  1 Si 1.64
79 O 0.6884 0.4455 0.6159  1 S 1.46
80 O 0.6878 0.8425 0.1197  1 S 1.51
81 O 0.6986 0.4563 0.3324  1 S 1.46
82 O 0.7071 0.7958 0.8392  1 Si 1.63, 1 Ge 1.80
83 O 0.7817 0.1563 0.6636  1 S 1.45
84 O 0.7855 0.0352 0.1644  1 S 1.49
85 O 0.7930 0.0260 0.4555  1 Si 1.63
86 O 0.7949 0.1697 0.9567  1 Si 1.66
87 O 0.8149 0.7134 0.3380  1 Si 1.63, 1 Ge 1.77
88 O 0.8167 0.1912 0.5552  1 S 1.50
89 O 0.8200 0.9631 0.0572  1 S 1.47
90 O 0.8249 0.4292 0.8378  1 Si 1.64, 1 Ge 1.75
91 O 0.8289 0.1967 0.2709  1 S 1.44
~~~
**Response:**
Entry 1:
## Nb2Si3Ge2S3O24 (GGA-PBE)

Data for a relaxed structure of Nb2Si3Ge2S3O24.

Values from the calculation:
- Symmetry: No. 1
- Total energy after the MP2020 corrections: -0.559 Ry per atom

a = 8.6779 Å, b = 8.6897 Å, c = 22.3926 Å
α = 89.07°, β = 89.21°, γ = 60.38°
With the nearest neighbours (Å) after each atom.
Sites, in units of the cell vectors:
1 Nb 0.0000 0.0000 0.0000  5 O 1.89-2.11
2 Nb 0.0011 0.9793 0.5026  3 O 1.84-1.96
3 Nb 0.3298 0.3288 0.3340  6 O 1.90-2.07
4 Nb 0.3436 0.3098 0.8308  5 O 1.86-2.06
5 Nb 0.6780 0.6611 0.6672  4 O 1.89-1.96
6 Nb 0.6830 0.6430 0.1648  5 O 1.86-2.07
7 Si 0.0282 0.2505 0.1119  4 O 1.60-1.67
8 Si 0.0306 0.6876 0.6126  4 O 1.60-1.68
9 Si 0.2713 0.9895 0.6150  4 O 1.60-1.67
10 Si 0.2788 0.6994 0.1106  4 O 1.61-1.66
11 Si 0.5965 0.0470 0.4489  4 O 1.62-1.66
12 Si 0.5977 0.3478 0.9453  4 O 1.63-1.66
13 Si 0.6907 0.9146 0.7799  4 O 1.59-1.67
14 Si 0.9358 0.6867 0.2783  4 O 1.63-1.66
15 Si 0.9447 0.3498 0.7770  4 O 1.59-1.67
16 Ge 0.0079 0.9735 0.7194  5 O 1.80-1.98
17 Ge 0.0155 0.9672 0.2099  3 O 1.75-1.80
18 Ge 0.3195 0.3490 0.0512  3 O 1.76-1.81
19 Ge 0.3428 0.2955 0.5629  4 O 1.72-1.85
20 Ge 0.6661 0.6885 0.3863  4 O 1.77-1.92
21 Ge 0.6865 0.6228 0.8773  3 O 1.75-1.80
22 S 0.0268 0.3443 0.4430  4 O 1.45-1.51
23 S 0.0355 0.6037 0.9451  4 O 1.46-1.51
24 S 0.3482 0.0318 0.9443  4 O 1.44-1.54
25 S 0.3513 0.6082 0.4400  4 O 1.43-1.51
26 S 0.3736 0.9356 0.2790  4 O 1.46-1.52
27 S 0.3767 0.6667 0.7787  4 O 1.45-1.51
28 S 0.6790 0.3713 0.2795  4 O 1.44-1.53
29 S 0.7065 0.0050 0.1105  4 O 1.45-1.51
30 S 0.7103 0.2679 0.6109  4 O 1.45-1.50
31 O 0.0135 0.1818 0.4469  1 S 1.47
32 O 0.0160 0.7829 0.9534  1 S 1.49
33 O 0.0450 0.1355 0.1724  1 Si 1.64, 1 Ge 1.80
34 O 0.0553 0.7788 0.6703  1 Si 1.60
35 O 0.0993 0.3790 0.4956  1 S 1.45
36 O 0.1086 0.4960 0.0015  1 S 1.51
37 O 0.1338 0.5111 0.2899  1 Si 1.66
38 O 0.1356 0.3458 0.7898  1 Si 1.67
39 O 0.1381 0.3222 0.3880  1 S 1.51
40 O 0.1421 0.0275 0.6710  1 Si 1.60
41 O 0.1490 0.5256 0.8932  1 S 1.46
42 O 0.1582 0.7752 0.1709  1 Si 1.63, 1 Ge 1.75
43 O 0.1781 0.9779 0.5519  1 Si 1.67
44 O 0.1787 0.0178 0.9487  1 S 1.54
45 O 0.1858 0.8244 0.0523  1 Si 1.63
46 O 0.1935 0.7906 0.4441  1 S 1.50
47 O 0.1960 0.9564 0.2734  1 S 1.47
48 O 0.1992 0.2682 0.0960  1 Si 1.60
49 O 0.2023 0.5055 0.5922  1 Si 1.61, 1 Ge 1.75
50 O 0.2017 0.8251 0.7751  1 S 1.46
51 O 0.2950 0.1638 0.6089  1 Si 1.63, 1 Ge 1.72
52 O 0.2999 0.5061 0.1040  1 Si 1.61, 1 Ge 1.76
53 O 0.3084 0.1461 0.8903  1 S 1.48
54 O 0.3126 0.5312 0.3864  1 S 1.51
55 O 0.3484 0.5098 0.7860  1 S 1.51
56 O 0.3526 0.1185 0.2870  1 S 1.52
57 O 0.3659 0.1163 0.9977  1 S 1.46
58 O 0.3813 0.5039 0.4934  1 S 1.43
59 O 0.4503 0.8281 0.3346  1 S 1.49
60 O 0.4580 0.6905 0.8329  1 S 1.48
61 O 0.4634 0.8101 0.6209  1 Si 1.63
62 O 0.4682 0.1499 0.5048  1 Si 1.62, 1 Ge 1.77
63 O 0.4734 0.6850 0.1238  1 Si 1.66
64 O 0.4766 0.3673 0.0042  1 Si 1.63, 1 Ge 1.78
65 O 0.4841 0.6305 0.7249  1 S 1.45
66 O 0.4865 0.8605 0.2267  1 S 1.46
67 O 0.4985 0.8575 0.9368  1 S 1.44
68 O 0.5034 0.1649 0.3877  1 Si 1.66
69 O 0.5081 0.3137 0.8872  1 Si 1.63
70 O 0.5105 0.3564 0.2858  1 S 1.53
71 O 0.5143 0.1148 0.7896  1 Si 1.67, 1 Nb 1.86
72 O 0.5143 0.6197 0.4276  1 S 1.49
73 O 0.5303 0.2904 0.6030  1 S 1.49
74 O 0.5309 0.1559 0.1028  1 S 1.45
75 O 0.6129 0.8535 0.4405  1 Si 1.63, 1 Ge 1.77
76 O 0.6161 0.5243 0.9352  1 Si 1.63, 1 Ge 1.80
77 O 0.6381 0.4854 0.2250  1 S 1.49
78 O 0.6399 0.8447 0.7196  1 Si 1.64
79 O 0.6884 0.4455 0.6159  1 S 1.46
80 O 0.6878 0.8425 0.1197  1 S 1.51
81 O 0.6986 0.4563 0.3324  1 S 1.46
82 O 0.7071 0.7958 0.8392  1 Si 1.63, 1 Ge 1.80
83 O 0.7817 0.1563 0.6636  1 S 1.45
84 O 0.7855 0.0352 0.1644  1 S 1.49
85 O 0.7930 0.0260 0.4555  1 Si 1.63
86 O 0.7949 0.1697 0.9567  1 Si 1.66
87 O 0.8149 0.7134 0.3380  1 Si 1.63, 1 Ge 1.77
88 O 0.8167 0.1912 0.5552  1 S 1.50
89 O 0.8200 0.9631 0.0572  1 S 1.47
90 O 0.8249 0.4292 0.8378  1 Si 1.64, 1 Ge 1.75
91 O 0.8289 0.1967 0.2709  1 S 1.44